Through the strategic use of assassins amongst many other things, a king must work to succeed for his dynasty. Developer Paradox’s Crusader Kings II is an open-ended simulation; therefore the definition of ‘success’ is completely defined by the player. Crusader Kings II is rich in strategic and tactical depth.
Crusader Kings is a different sort of strategy game compared to the types of games Paradox usually creates. It is deep, broad, high and every other dimension. A lot of people would look at it and say "this isn't really a strategy game". It is, just different to the strategy you may be used to. And this is a good thing.
While Crusader Kings II is technically a real-time strategy game, there's very little in the way of micromanagement or rapid clicking going on. You mostly click a button that moves your dynasty towards or away from a point. You mostly sit back while events unfold. The game presents you with alert messages for important events, which you handle according to your whims. Don't think, however, that this will get boring. Events and decision making create a feeling that you’re king of your own castle, and with so many simultaneous events happening, you'll find hours going by like minutes.
As you control a dynasty, the goal is to gain honor, prestige, standing, land holdings and power through multiple generations of sons, daughters, nephews and intermarriage. Much like the dynamics of The Sims, children inherit genetics and traits, culture, religion and skills of their educator or parents. This also adds another element of strategy to marriages. Meaning, the player should aim to breed the best characters they can in order to create the perfect offspring.
┌──
# 1
DFT (GGA+U) results for a geometry-optimized SrNiP2O8 structure.

Structure (POSCAR):
```
SrNiP2O8
1.0
5.624 0.000 0.000
-1.206 6.957 0.000
-1.697 -3.658 8.137
Sr Ni P O
2 2 4 16
Cartesian
0.367 -0.175 3.688
2.354 3.475 4.449
-0.185 5.729 0.434
2.906 -2.429 7.704
-0.544 2.992 2.101
0.563 -2.754 6.533
2.158 6.054 1.605
3.265 0.308 6.037
-0.122 2.433 0.718
-1.890 3.431 7.076
-0.948 0.706 5.613
-0.515 4.550 2.042
0.199 -2.264 5.140
0.456 2.458 3.137
2.034 -0.057 1.660
1.680 4.997 0.571
1.041 -1.698 7.566
0.687 3.357 6.477
2.265 0.842 5.000
2.522 5.564 2.998
3.236 -1.250 6.095
3.669 2.594 2.525
4.610 -0.131 1.061
2.843 0.867 7.420
```

Calculated values
Total magnetic moment = 3.9 μB per cell
ΔH_f (0 K) = -2.367 eV per atom
V = 13.3 Å³/atom
VASP energy = -6.52 eV/atom

# 2
DFT (GGA+U) results for a geometry-optimized Sr2NiP2O8 structure.

Structure (POSCAR):
```
Sr2NiP2O8
1.0
11.805 0.000 0.000
0.000 10.117 0.000
-1.246 0.000 9.037
Sr Ni P O
12 6 12 48
Cartesian
-0.323 1.198 2.743
-0.946 3.861 7.261
2.837 2.277 5.992
3.460 2.781 1.473
3.691 6.579 3.005
3.068 8.597 7.524
7.491 1.520 1.514
6.868 3.538 6.033
7.099 7.336 7.564
7.722 7.840 3.046
11.505 6.256 1.776
10.882 8.919 6.295
1.306 6.164 5.651
1.929 9.012 1.132
5.279 0.000 4.519
5.902 5.059 0.000
8.630 1.105 7.905
9.253 3.953 3.386
0.316 1.020 8.472
0.939 4.039 3.953
2.511 5.827 0.051
1.888 9.349 4.569
4.512 5.736 6.422
5.135 9.440 1.903
5.424 0.678 7.134
6.047 4.381 2.616
8.671 0.769 4.468
8.048 4.290 8.987
9.619 6.078 5.085
10.242 9.097 0.566
-1.065 1.335 7.835
-0.442 3.724 3.316
0.842 0.362 4.721
1.465 4.696 0.202
1.547 1.032 1.008
0.924 4.027 5.527
1.341 5.510 3.592
0.719 9.666 8.111
2.038 6.966 1.021
1.415 8.210 5.540
1.317 2.086 7.993
1.940 2.973 3.474
1.383 6.411 7.671
2.006 8.765 3.153
3.873 5.279 0.587
3.250 9.897 5.105
3.367 6.250 5.520
3.990 8.926 1.001
4.065 0.814 7.841
4.688 4.245 3.322
4.887 0.776 2.428
4.265 4.283 6.947
4.590 6.624 7.742
5.213 8.552 3.224
5.346 1.565 5.814
5.969 3.493 1.295
6.294 5.835 2.090
5.671 9.341 6.609
5.871 5.873 5.715
6.494 9.303 1.196
6.569 1.191 8.036
7.192 3.867 3.517
7.309 0.220 3.932
6.686 4.838 8.451
8.553 1.352 5.885
9.176 3.707 1.366
8.619 7.145 5.563
9.241 8.031 1.045
9.144 1.907 3.498
8.521 3.151 8.016
9.840 0.452 0.927
9.217 4.607 5.446
9.635 6.090 3.511
9.012 9.086 8.030
9.094 5.421 8.835
9.717 9.755 4.317
11.001 6.393 5.722
11.624 8.782 1.203
```

Calculated values
Total magnetic moment = 12.0 μB per cell
ΔH_f (0 K) = -2.945 eV per atom
V = 13.8 Å³/atom
VASP energy = -6.91 eV/atom

# 3
DFT (GGA+U) results for a geometry-optimized SrNiP2O7 structure.

Structure (POSCAR):
```
SrNiP2O7
1.0
5.331 0.000 0.000
0.000 8.336 0.000
-5.302 0.000 12.795
Sr Ni P O
4 4 8 28
Cartesian
-1.139 1.322 2.794
-3.790 2.845 9.192
3.818 5.490 3.603
1.167 7.013 10.001
-1.651 5.409 7.838
1.000 7.094 1.440
-0.972 1.241 11.355
1.680 2.926 4.958
1.644 1.637 0.224
-1.007 2.530 6.622
-1.329 0.309 8.499
1.322 3.859 2.101
-1.293 4.477 10.694
1.358 8.027 4.296
└──
This all sounds quite intimidating and complex, but fear not, Crusader Kings II comes with a pretty comprehensive tutorial to help you learn the ropes. It is interesting to see events unfold in Europe that sometimes accord with real history and sometimes don't, it does help to have a basic grasp of European history, but what you don't know the game will teach you.
### Unrelated to this page: calculated crystals
The following is a r²SCAN calculation of a relaxed structure of ZrO2, from the Materials Project.

## Properties
Its energy of formation from the pure elements is -3.731 eV per atom. The space group is No. 141.

```
ZrO2
1.0
0.000 4.015 0.000
2.007 -2.007 5.346
4.015 0.000 0.000
O Zr
4 2
direct
0.798 0.597 0.201
0.549 0.097 0.952
0.952 0.903 0.549
0.201 0.403 0.798
0.000 0.000 0.000
0.750 0.500 0.750
```


{
  "formula": "KEu2Si4O10F",
  "functional": "PBE",
  "state": "optimized geometry",
  "space_group": "P2_1/c",
  "rho_g_cm3": 3.90,
  "magnetic_moment_mub_per_atom": 0.778,
  "delta_e_f_ev_per_fu": -59.6,
  "lattice_angstrom": [[11.584, 0.000, 0.000], [0.000, 8.587, 0.000], [-7.159, 0.000, 10.861]],
  "species": ["K", "K", "K", "K", "Eu", "Eu", "Eu", "Eu", "Eu", "Eu", "Eu", "Eu", "Si", "Si", "Si", "Si", "Si", "Si", "Si", "Si", "Si", "Si", "Si", "Si", "Si", "Si", "Si", "Si", "O", "O", "O", "O", "O", "O", "O", "O", "O", "O", "O", "O", "O", "O", "O", "O", "O", "O", "O", "O", "O", "O", "O", "O", "O", "O", "O", "O", "O", "O", "O", "O", "O", "O", "O", "O", "O", "O", "O", "O", "F", "F", "F", "F"],
  "fractional_positions": [[0.108, 0.217, 0.074], [0.108, 0.283, 0.574], [0.892, 0.717, 0.426], [0.892, 0.783, 0.926], [0.418, 0.218, 0.961], [0.418, 0.282, 0.461], [0.434, 0.021, 0.720], [0.434, 0.479, 0.220], [0.566, 0.521, 0.780], [0.566, 0.979, 0.280], [0.582, 0.718, 0.539], [0.582, 0.782, 0.039], [0.125, 0.533, 0.243], [0.125, 0.967, 0.743], [0.192, 0.525, 0.915], [0.192, 0.975, 0.415], [0.247, 0.659, 0.731], [0.247, 0.841, 0.231], [0.255, 0.623, 0.504], [0.255, 0.877, 0.004], [0.745, 0.123, 0.996], [0.745, 0.377, 0.496], [0.753, 0.159, 0.769], [0.753, 0.341, 0.269], [0.808, 0.025, 0.585], [0.808, 0.475, 0.085], [0.875, 0.033, 0.257], [0.875, 0.467, 0.757], [0.027, 0.543, 0.861], [0.027, 0.957, 0.361], [0.126, 0.561, 0.369], [0.126, 0.939, 0.869], [0.127, 0.706, 0.188], [0.127, 0.794, 0.688], [0.204, 0.581, 0.597], [0.204, 0.919, 0.097], [0.213, 0.521, 0.799], [0.213, 0.979, 0.299], [0.248, 0.075, 0.764], [0.248, 0.425, 0.264], [0.267, 0.123, 0.503], [0.267, 0.377, 0.003], [0.267, 0.685, 0.999], [0.267, 0.815, 0.499], [0.400, 0.542, 0.547], [0.400, 0.958, 0.047], [0.404, 0.719, 0.810], [0.404, 0.781, 0.310], [0.596, 0.219, 0.690], [0.596, 0.281, 0.190], [0.600, 0.042, 0.953], [0.600, 0.458, 0.453], [0.733, 0.185, 0.501], [0.733, 0.315, 0.001], [0.733, 0.623, 0.997], [0.733, 0.877, 0.497], [0.752, 0.575, 0.736], [0.752, 0.925, 0.236], [0.787, 0.021, 0.701], [0.787, 0.479, 0.201], [0.796, 0.081, 0.903], [0.796, 0.419, 0.403], [0.873, 0.206, 0.312], [0.873, 0.294, 0.812], [0.874, 0.061, 0.131], [0.874, 0.439, 0.631], [0.973, 0.043, 0.639], [0.973, 0.457, 0.139], [0.429, 0.185, 0.290], [0.429, 0.315, 0.790], [0.571, 0.685, 0.210], [0.571, 0.815, 0.710]]
}



{
  "formula": "Sm3MgBiRu4O14",
  "functional": "PBE",
  "state": "optimized geometry",
  "polymorph_energy_ev_per_atom": 0.000,
  "space_group": "R3m",
  "rho_g_cm3": 7.43,
Victory conditions are very subjective in Crusader Kings II compared to many other strategy games. If winning for you entails taking over the British Isles, or maintaining a continuous line of male heirs for five centuries, then that is the aim of your game. It is very much like a ‘sandbox’ game, in the sense you can make your experience what you want. There is a wonderful sense of freedom to play how you wish that make Crusader Kings II so enjoyable and fun to play.
~~~
i.
! GGA+U Mo3NO9, optimized geometry; values from VASP
! calculated volume: 15.3 A^3/atom
&SYSTEM
  ibrav = 0, nat = 26, ntyp = 3
/
ATOMIC_SPECIES
Mo 95.94 Mo.upf
N 14.01 N.upf
O 16.00 O.upf
ATOMIC_POSITIONS crystal
Mo 0.1093 0.4607 0.2500
Mo 0.3514 0.8907 0.2500
Mo 0.4607 0.3514 0.7500
Mo 0.5393 0.6486 0.2500
Mo 0.6486 0.1093 0.7500
Mo 0.8907 0.5393 0.7500
N 0.0000 0.0000 0.0000
N 0.0000 0.0000 0.5000
O 0.0153 0.2862 0.2500
O 0.0801 0.5060 0.7500
O 0.2181 0.7210 0.2500
O 0.2709 0.9847 0.2500
O 0.2790 0.4971 0.2500
O 0.2862 0.2709 0.7500
O 0.4259 0.9199 0.7500
O 0.4940 0.5741 0.7500
O 0.4971 0.2181 0.7500
O 0.5029 0.7819 0.2500
O 0.5060 0.4259 0.2500
O 0.5741 0.0801 0.2500
O 0.7138 0.7291 0.2500
O 0.7210 0.5029 0.7500
O 0.7291 0.0153 0.7500
O 0.7819 0.2790 0.7500
O 0.9199 0.4940 0.2500
O 0.9847 0.7138 0.7500
CELL_PARAMETERS angstrom
11.2793 0.0000 0.0000
-5.6396 9.7681 0.0000
0.0000 0.0000 3.6166


ii.
! GGA+U Mo3NO9, optimized geometry; values from VASP
! calculated volume: 15.1 A^3/atom
&SYSTEM
  ibrav = 0, nat = 26, ntyp = 3
/
ATOMIC_SPECIES
Mo 95.94 Mo.upf
N 14.01 N.upf
O 16.00 O.upf
ATOMIC_POSITIONS crystal
Mo 0.1092 0.4602 0.2500
Mo 0.3510 0.8908 0.2500
Mo 0.4602 0.3510 0.7500
Mo 0.5398 0.6490 0.2500
Mo 0.6490 0.1092 0.7500
Mo 0.8908 0.5398 0.7500
N 0.0000 0.0000 0.2500
N 0.0000 0.0000 0.7500
O 0.0162 0.2842 0.2500
O 0.0778 0.5027 0.7500
O 0.2177 0.7186 0.2500
O 0.2681 0.9838 0.2500
O 0.2814 0.4992 0.2500
O 0.2842 0.2681 0.7500
O 0.4249 0.9222 0.7500
O 0.4973 0.5751 0.7500
O 0.4992 0.2177 0.7500
O 0.5008 0.7823 0.2500
O 0.5027 0.4249 0.2500
O 0.5751 0.0778 0.2500
O 0.7158 0.7319 0.2500
O 0.7186 0.5008 0.7500
O 0.7319 0.0162 0.7500
O 0.7823 0.2814 0.7500
O 0.9222 0.4973 0.2500
O 0.9838 0.7158 0.7500
CELL_PARAMETERS angstrom
11.1671 0.0000 0.0000
-5.5835 9.6710 0.0000
0.0000 0.0000 3.6387


Quick one: most stable of them? ii


i.
! GGA+U ZnBiWO5, optimized geometry; values from VASP
! calculated volume: 15.3 A^3/atom
&SYSTEM
  ibrav = 0, nat = 64, ntyp = 4
/
ATOMIC_SPECIES
Zn 65.41 Zn.upf
Bi 208.98 Bi.upf
W 183.84 W.upf
O 16.00 O.upf
ATOMIC_POSITIONS crystal
Zn 0.0375 0.0395 0.1260
Zn 0.0375 0.4605 0.6260
Zn 0.4625 0.5395 0.1260
Zn 0.4625 0.9605 0.6260
Zn 0.5375 0.0395 0.3740
Zn 0.5375 0.4605 0.8740
Zn 0.9625 0.5395 0.3740
Zn 0.9625 0.9605 0.8740
Bi 0.0337 0.7085 0.1428
Bi 0.0337 0.7915 0.6428
Bi 0.4663 0.2085 0.1428
Bi 0.4663 0.2915 0.6428
Bi 0.5337 0.7085 0.3572
Bi 0.5337 0.7915 0.8572
Bi 0.9663 0.2085 0.3572
Bi 0.9663 0.2915 0.8572
W 0.0685 0.5932 0.8585
W 0.0685 0.9068 0.3585
W 0.4315 0.0932 0.8585
W 0.4315 0.4068 0.3585
W 0.5685 0.5932 0.6415
W 0.5685 0.9068 0.1415
W 0.9315 0.0932 0.6415
W 0.9315 0.4068 0.1415
O 0.1269 0.1332 0.5039
O 0.1274 0.1449 0.2022
O 0.1274 0.3551 0.7022
O 0.1269 0.3668 0.0039
O 0.1926 0.6931 0.8104
O 0.1926 0.8069 0.3104
O 0.2011 0.0360 0.9578
O 0.2011 0.4640 0.4578
O 0.2066 0.0325 0.7157
O 0.2066 0.4675 0.2157
O 0.2934 0.5325 0.7157
O 0.2934 0.9675 0.2157
O 0.2989 0.5360 0.9578
O 0.2989 0.9640 0.4578
~~~
**Here the entry continues**
The thing that surprised me the most is that for a deep and involving strategy game, it's fairly easy to pick up. That said though, it is not for people who don't have time to get stuck into it, or for the faint hearted. If you're willing to put in the time, it will reward you with a very enjoyable game experience in the long run. Along with the deep single-player experience, this game also has a competitive co-operative multiplayer feature. Each play through is always a bit different, which adds to a high overall value.
This is not a game that is going to wow you with graphics, but the aesthetic is not so bad that you will be put off by the game. Truthfully, visual pizzazz is just not what this game is about. Crusader Kings II is about building a dynasty, making choices and watching them unfold. Gameplay through simulating immersive decision making and involving strategy is all that matters here, graphics aren’t important if you have a good story or attention-grabbing quality gameplay, which Crusader Kings II certainly has an abundance.